-- Excerpt --
........
1.
MnCr2Br: optimized geometry, PBE.

spin magnetization	0.0	μB/cell
formation energy (no corrections)	0.848	eV/atom
excess energy over the best structure of this formula in the dataset	540.9	meV/atom

a b c (Å): 2.8945 4.1120 8.5305
angles (deg): 90.00 90.00 90.00
With the nearest neighbours (Å) after each atom.
Space group Immm (No. 71)
Asymmetric unit:
1 Mn 0.0000 0.0000 0.0000 [2 per cell]  4 Br 2.51, 4 Cr 2.64
2 Cr 0.0000 0.5000 0.2410 [4 per cell]  2 Br 2.51, 4 Cr 2.52, 2 Mn 2.64
3 Br 0.0000 0.0000 0.5000 [2 per cell]  4 Mn 2.51, 4 Cr 2.51

=====

2.
MnCrBr: optimized geometry, PBE.

spin magnetization	0.1	μB/cell
formation energy (no corrections)	0.671	eV/atom
excess energy over the best structure of this formula in the dataset	428.1	meV/atom

a b c (Å): 6.3622 6.3622 6.3622
angles (deg): 90.00 90.00 90.00
With the nearest neighbours (Å) after each atom.
Space group F-43m (No. 216)
Asymmetric unit:
1 Mn 0.0000 0.0000 0.0000 [4 per cell]  4 Cr 2.75
2 Cr 0.2500 0.2500 0.2500 [4 per cell]  4 Br 2.75, 4 Mn 2.75
3 Br 0.0000 0.0000 0.5000 [4 per cell]  4 Cr 2.75

=====

3.
MnCrBr2: optimized geometry, PBE.

spin magnetization	18.2	μB/cell
formation energy (no corrections)	0.263	eV/atom
excess energy over the best structure of this formula in the dataset	234.7	meV/atom

a b c (Å): 3.5485 6.4811 8.2750
angles (deg): 90.00 90.00 90.00
With the nearest neighbours (Å) after each atom.
Space group Cmmm (No. 65)
Asymmetric unit:
1 Mn 0.0000 0.0000 0.0000 [2 per cell]  4 Br 2.77
2 Cr 0.0000 0.0000 0.5000 [2 per cell]  4 Br 2.68
3 Br 0.0000 0.5000 0.2568 [4 per cell]  2 Cr 2.68, 2 Mn 2.77

=====

4.
MnCrBr2: optimized geometry, PBE.

spin magnetization	9.3	μB/cell
formation energy (no corrections)	0.261	eV/atom
excess energy over the best structure of this formula in the dataset	232.5	meV/atom

a b c (Å): 3.6411 3.8875 7.2540
angles (deg): 90.00 100.36 90.00
With the nearest neighbours (Å) after each atom.
Space group P2/m (No. 10)
Asymmetric unit:
1 Mn 0.0000 0.0000 0.0000 [1 per cell]  4 Br 2.71
2 Cr 0.0000 0.0000 0.5000 [1 per cell]  4 Br 2.74
3 Br 0.1670 0.5000 0.2614 [2 per cell]  2 Mn 2.71, 2 Cr 2.74

=====

> What is the excess energy over the best structure of this formula in the dataset in the fourth record?

232.5 meV/atom

=====

> formation energy (no corrections) of number 1 (MnCr2Br)?

0.848 eV/atom

=====

Ba3Bi2P4O16 | GGA-PBEsol | optimized geometry

Cell and atoms, written as extended XYZ:
```
50
Lattice="10.130 -4.416 0.000 10.130 4.416 0.000 -3.009 0.000 8.146" Properties=species:S:1:pos:R:3 pbc="T T T"
Ba 7.873 3.912 6.110
Ba 2.057 0.540 6.283
Ba 3.562 -0.540 2.210
Ba 13.689 0.540 5.936
Ba 15.194 -0.540 1.863
Ba 9.378 -3.912 2.037
Bi 7.574 0.552 2.615
Bi 6.070 -0.552 6.688
Bi 11.182 0.552 1.458
Bi 9.677 -0.552 5.531
P 7.861 2.520 0.150
P 5.555 1.718 4.483
P 10.895 2.520 3.923
P 10.191 1.718 7.736
P 7.060 -1.718 0.410
P 6.356 -2.520 4.223
P 11.696 -1.718 3.663
P 9.390 -2.520 7.997
O 5.789 3.613 7.785
O 2.090 1.280 3.550
O 3.497 2.539 7.585
O 7.623 2.727 1.707
O 9.958 3.613 4.434
O 5.484 1.262 2.967
O 4.744 0.686 5.325
O 7.069 1.584 4.829
O 11.133 2.727 2.367
O 8.556 1.098 0.132
O 0.586 -1.280 7.623
O 8.677 1.584 7.390
O 12.249 2.539 4.634
O 6.248 -0.686 1.252
O 10.200 1.098 3.941
O 3.979 -1.262 7.041
O 13.272 1.262 1.106
O 7.052 -1.098 4.205
O 11.003 0.686 6.894
O 5.002 -2.539 3.512
O 8.574 -1.584 0.756
O 16.666 1.280 0.524
O 8.695 -1.098 8.014
O 6.118 -2.727 5.780
O 10.182 -1.584 3.317
O 12.507 -0.686 2.821
O 11.767 -1.262 5.179
O 7.293 -3.613 3.712
O 9.629 -2.727 6.440
O 13.754 -2.539 0.561
O 15.161 -1.280 4.597
O 11.463 -3.613 0.361
```

## Properties
* crystal system: monoclinic
* formation energy without anion corrections: -2.467 eV per atom
* size of the total moment: 0.008 μB per formula unit
* total energy: -7.3537 eV/atom

=====

# 1
# LaErCuPb (PBE, optimized geometry)
data_LaErCuPb
_chemical_formula_sum 'La4 Er4 Cu4 Pb4'
_cell_length_a 7.5347
_cell_length_b 7.5347
_cell_length_c 7.5347
........

-- Exercise --
The reader should write out the lines further above up to the one that holds "0.361", that line included.

-- Completed --
1.
MnCr2Br: optimized geometry, PBE.

spin magnetization	0.0	μB/cell
formation energy (no corrections)	0.848	eV/atom
excess energy over the best structure of this formula in the dataset	540.9	meV/atom

a b c (Å): 2.8945 4.1120 8.5305
angles (deg): 90.00 90.00 90.00
With the nearest neighbours (Å) after each atom.
Space group Immm (No. 71)
Asymmetric unit:
1 Mn 0.0000 0.0000 0.0000 [2 per cell]  4 Br 2.51, 4 Cr 2.64
2 Cr 0.0000 0.5000 0.2410 [4 per cell]  2 Br 2.51, 4 Cr 2.52, 2 Mn 2.64
3 Br 0.0000 0.0000 0.5000 [2 per cell]  4 Mn 2.51, 4 Cr 2.51

=====

2.
MnCrBr: optimized geometry, PBE.

spin magnetization	0.1	μB/cell
formation energy (no corrections)	0.671	eV/atom
excess energy over the best structure of this formula in the dataset	428.1	meV/atom

a b c (Å): 6.3622 6.3622 6.3622
angles (deg): 90.00 90.00 90.00
With the nearest neighbours (Å) after each atom.
Space group F-43m (No. 216)
Asymmetric unit:
1 Mn 0.0000 0.0000 0.0000 [4 per cell]  4 Cr 2.75
2 Cr 0.2500 0.2500 0.2500 [4 per cell]  4 Br 2.75, 4 Mn 2.75
3 Br 0.0000 0.0000 0.5000 [4 per cell]  4 Cr 2.75

=====

3.
MnCrBr2: optimized geometry, PBE.

spin magnetization	18.2	μB/cell
formation energy (no corrections)	0.263	eV/atom
excess energy over the best structure of this formula in the dataset	234.7	meV/atom

a b c (Å): 3.5485 6.4811 8.2750
angles (deg): 90.00 90.00 90.00
With the nearest neighbours (Å) after each atom.
Space group Cmmm (No. 65)
Asymmetric unit:
1 Mn 0.0000 0.0000 0.0000 [2 per cell]  4 Br 2.77
2 Cr 0.0000 0.0000 0.5000 [2 per cell]  4 Br 2.68
3 Br 0.0000 0.5000 0.2568 [4 per cell]  2 Cr 2.68, 2 Mn 2.77

=====

4.
MnCrBr2: optimized geometry, PBE.

spin magnetization	9.3	μB/cell
formation energy (no corrections)	0.261	eV/atom
excess energy over the best structure of this formula in the dataset	232.5	meV/atom

a b c (Å): 3.6411 3.8875 7.2540
angles (deg): 90.00 100.36 90.00
With the nearest neighbours (Å) after each atom.
Space group P2/m (No. 10)
Asymmetric unit:
1 Mn 0.0000 0.0000 0.0000 [1 per cell]  4 Br 2.71
2 Cr 0.0000 0.0000 0.5000 [1 per cell]  4 Br 2.74
3 Br 0.1670 0.5000 0.2614 [2 per cell]  2 Mn 2.71, 2 Cr 2.74

=====

> What is the excess energy over the best structure of this formula in the dataset in the fourth record?

232.5 meV/atom

=====

> formation energy (no corrections) of number 1 (MnCr2Br)?

0.848 eV/atom

=====

Ba3Bi2P4O16 | GGA-PBEsol | optimized geometry

Cell and atoms, written as extended XYZ:
```
50
Lattice="10.130 -4.416 0.000 10.130 4.416 0.000 -3.009 0.000 8.146" Properties=species:S:1:pos:R:3 pbc="T T T"
Ba 7.873 3.912 6.110
Ba 2.057 0.540 6.283
Ba 3.562 -0.540 2.210
Ba 13.689 0.540 5.936
Ba 15.194 -0.540 1.863
Ba 9.378 -3.912 2.037
Bi 7.574 0.552 2.615
Bi 6.070 -0.552 6.688
Bi 11.182 0.552 1.458
Bi 9.677 -0.552 5.531
P 7.861 2.520 0.150
P 5.555 1.718 4.483
P 10.895 2.520 3.923
P 10.191 1.718 7.736
P 7.060 -1.718 0.410
P 6.356 -2.520 4.223
P 11.696 -1.718 3.663
P 9.390 -2.520 7.997
O 5.789 3.613 7.785
O 2.090 1.280 3.550
O 3.497 2.539 7.585
O 7.623 2.727 1.707
O 9.958 3.613 4.434
O 5.484 1.262 2.967
O 4.744 0.686 5.325
O 7.069 1.584 4.829
O 11.133 2.727 2.367
O 8.556 1.098 0.132
O 0.586 -1.280 7.623
O 8.677 1.584 7.390
O 12.249 2.539 4.634
O 6.248 -0.686 1.252
O 10.200 1.098 3.941
O 3.979 -1.262 7.041
O 13.272 1.262 1.106
O 7.052 -1.098 4.205
O 11.003 0.686 6.894
O 5.002 -2.539 3.512
O 8.574 -1.584 0.756
O 16.666 1.280 0.524
O 8.695 -1.098 8.014
O 6.118 -2.727 5.780
O 10.182 -1.584 3.317
O 12.507 -0.686 2.821
O 11.767 -1.262 5.179
O 7.293 -3.613 3.712
O 9.629 -2.727 6.440
O 13.754 -2.539 0.561
O 15.161 -1.280 4.597
O 11.463 -3.613 0.361